after a week or more of "not feeling like writing this blog" and having not gathered enough mental energy or whatsoever, I finally have it all - the feeling and the experience packed up to produce this blog that sets a new milestone for my life, opening up a new chapter, really.
I won't say when I learnt what, but I'll generalize things cause they're way sooooo many. have fun reading tho.
find something that's worth suffering for
you.gotta.suffer. (but don't have that mindset and be a pile of your disappointment)
• Unrelated to this article: crystal structures:
/*
[1]
Cs2InAsS4: theoretical X-ray diffraction stick pattern (CuKα), based on a DFT-relaxed cell (PBE, Alexandria).
Kinematic intensities with the Lorentz-polarization factor, no thermal factor.

Atomic structure:
a = 14.420 Å, b = 12.803 Å, c = 8.017 Å
α = 84.33°, β = 62.08°, γ = 33.59°
Fractional positions:
Cs (0.054, 0.054, 0.696)
Cs (0.304, 0.304, 0.946)
Cs (0.696, 0.696, 0.054)
Cs (0.946, 0.946, 0.304)
In (0.125, 0.125, 0.125)
In (0.875, 0.875, 0.875)
As (0.375, 0.375, 0.375)
As (0.625, 0.625, 0.625)
S (0.025, 0.330, 0.417)
S (0.272, 0.583, 0.670)
S (0.330, 0.025, 0.728)
S (0.417, 0.728, 0.025)
S (0.583, 0.272, 0.975)
S (0.670, 0.975, 0.272)
S (0.728, 0.417, 0.330)
S (0.975, 0.670, 0.583)

Peak list (12 most intense, 2θ = 5–70°, in order of rising 2θ)
14.28°, I = 33
15.58°, I = 28
23.17°, I = 27
24.19°, I = 39
24.70°, I = 100
25.32°, I = 60
29.19°, I = 55
30.59°, I = 57
35.59°, I = 53
42.87°, I = 30
43.50°, I = 39
46.76°, I = 39

[2]
Er6CoBr10: theoretical X-ray diffraction stick pattern (CuKα), based on a DFT-relaxed cell (PBE, Alexandria).
Kinematic intensities with the Lorentz-polarization factor, no thermal factor.

Atomic structure:
a = 7.286 Å, b = 8.997 Å, c = 9.140 Å
α = 107.43°, β = 96.56°, γ = 104.28°
Fractional positions:
Er (0.036, 0.218, 0.416)
Er (0.122, 0.548, 0.258)
Er (0.350, 0.629, 0.673)
Er (0.650, 0.371, 0.327)
Er (0.878, 0.452, 0.742)
Er (0.964, 0.782, 0.584)
Co (0.000, 0.500, 0.500)
Br (0.088, 0.874, 0.327)
Br (0.228, 0.249, 0.160)
Br (0.246, 0.582, 0.957)
Br (0.335, 0.947, 0.772)
Br (0.454, 0.318, 0.587)
Br (0.546, 0.682, 0.413)
Br (0.665, 0.053, 0.228)
Br (0.754, 0.418, 0.043)
Br (0.772, 0.751, 0.840)
Br (0.912, 0.126, 0.673)

Peak list (12 most intense, 2θ = 5–70°, in order of rising 2θ)
10.36°, I = 82
10.79°, I = 80
12.81°, I = 30
29.79°, I = 100
30.96°, I = 96
31.43°, I = 97
43.26°, I = 29
43.74°, I = 61
43.99°, I = 32
44.56°, I = 30
44.85°, I = 34
54.85°, I = 31

[3]
CuNiAu2: theoretical X-ray diffraction stick pattern (CuKα), based on a DFT-relaxed cell (PBE, Alexandria).
Kinematic intensities with the Lorentz-polarization factor, no thermal factor.

Atomic structure:
a = 5.226 Å, b = 5.226 Å, c = 5.226 Å
α = 147.12°, β = 129.74°, γ = 61.37°
Fractional positions:
Cu (0.000, 0.000, 0.000)
Ni (0.225, 0.725, 0.500)
Au (0.473, 0.473, 0.000)
Au (0.747, 0.247, 0.500)

Peak list (12 most intense, 2θ = 5–70°, in order of rising 2θ)
22.34°, I = 21
31.85°, I = 17
36.17°, I = 19
40.12°, I = 26
40.65°, I = 28
41.84°, I = 100
42.96°, I = 2
52.55°, I = 9
58.44°, I = 17
60.24°, I = 6
62.83°, I = 8
67.57°, I = 2

~~~~~

This entry pairs a crystal structure of Fe10O9F11 with its theoretical X-ray diffraction stick pattern. Radiation: CuKα. Structure: a structure optimized by DFT (PBE+U).
Neutral-atom scattering factors, no anomalous dispersion.

Main lines, by angle (5° ≤ 2θ ≤ 70°):
| d (Å) | intensity |
| --- | --- |
| 3.414 | 100.0 |
| 3.331 | 96.2 |
| 2.603 | 51.0 |
| 2.592 | 51.8 |
| 1.770 | 29.6 |
| 1.766 | 30.2 |
*/
but it's nice to have something that's worth suffering for.
like soulmates that seize your soul so neatly, sunsets and sunrises, beaches, plants, succulents, etc.
life's gonna be real suck, and hard time is a good shake to check on your faith, "why have you been doing this thing", your reason of being, and it decides whether this thing stays or vanishes.
regarding relationships, all relationships go to hell, but strong ones survive
I know what I gotta push through to make it count though, that's my relationship, my family, and my future, of course.
ways adult talk
I was supposed to insert a quote right here nicely but for god's sake I can't remember the quote word for word, have fun reading this sucky version of it instead tho
"the only difference between an adult and a child is that an adult don't say 100% what they see/ listen"
this is actually legit, but don't be too quick to blame on adults then. sometimes lies are neccessary, white lies that can save lives. but sometimes they're not, a good adult is the one who knows when to lie, and when not lie.
for years I have been indifferent to the world and people around me, now that I realized the greatest meaning of growing up - not to do big things like getting into Havard or rank #1 on LinkedIn for whatever major, but to be able to cherish and understand smoll things, that creat values.
what we see and what we don't
basically, contrast and compare your life to others' and think they are so lucky.
but what if I told you the friend you saw posting posts after posts on vacation was in serious debts, and your aunty who seems to be dying from whatever disease was having the best life?
we see what we don't have.
before my soulmate was even my soulmate, his mom had a quote that any family is a damn smelly fish sauce jar, it's their decisions to open it or not (or open but to some extent)
at the end of the day, the one that knows how happy one is, is oneself, and only oneself can know for sure.
you can be exactly as happy as you decide to be
one of the most important thing to know if you wanna be happy is knowing what you can control, and what you can't.
for most of the times, what you can control includes your attitude and something else, but for hard times, sometimes what you can control is only your attitude.
attitude defines altitude, and trying to change the external environment gonna waste time and effort real hard.
I always rate my days according to the externalities, now that I learnt that attitude was the main thing, I can be as happy as I decide to be, I mean everyday so often.
hard times + a good mindset = catalyst of learning
hard times make you learn, but you can learn way faster, with a good mindset.
be nice
I was asking [a person I really admire] how to stay happy, and what she said, was to be nice.
mental health and one's life can't always be seen through, and everything happens for a reason most of the time. for times it doesn't make sense, just call it bad luck an move on.
cause you can't clean anything with dirt, and you can't improve your relationships provided you keep on bitting their heads off.
for that being nice to people you don't know may be hard, but what's harder is being nice to people that you know too.damn.well, such as your family's members or that-coworker-that-I-go-to-the-bar-with-everyday-and-she-told-me-everything.
I tend to listen to opinions from other people other than our family, even affter that I realize the content was the same, but the delivery was different.
"It's nice to be nice" - Casey Neistat
well it's hard, but with time and effort, you can make it.
will to fail
the reason to fail, is not to fail later, or to fail later anyways but in a less destructive way to your mental and physical health.
you don't have to fail everytime to learn though, watch how others failed, and learn from it. your time is not enough to learn everything by failing by yourself.
there is no need to stress out
this is how you would normally solve a problem
1/ problem happens
2/ identify problem
3/ solve it somehow
4/ learn the cause to prevent it from happening (highly recommend it)
for the last months, I have teared up for really simple reasons (being overly emotional for various reasons) and get upset about how life works.
but life is not fair, though, so not everything has a cause for it, but there is a solution for everything (including your attitude)
there isn't time, so brief is life.
how long does it take for you to realize that you are actually living and not passively doing other things while scrolling through social media?
lives get easier they said, but it actually gets harder that we live in an era of distraction.
but time is what you have to make changes, this sounds too cliche I know, I question whther one understand what he or she reads on a deep level, or it was just the surface runoff on you?
how to see life
once you get to see life in these 2 ways, it's gonna get 99999x much easier
1/ seeing things for how it is, without having biases (of course you won't be able to detach 100% but you can reduce biases you have)
2/ seeing life as a whole
there are things that you need to generalize as to simplify it, and there are things that you should see in details and never generalize it, but we hoomans mistake them so often.
never ever ever ever generalize people cause even the most related ones can be hella distinct from a different point of view.
that's why stereotypes and horoscopes suck, not all sagittarius is an asshole in their realtionships, not all asians are good at math and not all black people are uneducated.
while steoreotypes can save you some time from understanding people by talking to them, it whoops your ass in the long run
never ever ever ever see the whole life in details for too long, you'll miss out the other things.
it's not always gonna be sugary-sweet, and it's not going to be shit-colored all the time, it's an alternating sequences between this and that, it's dumb to think it's only this way or another. in life selection, it's the survival of the most realistic.
but well that doesn't mean you grow up to be a capitalist, have some space for your inner child to thrive, too.
the ability to detach
I'd been showing off people my ability to multitask.
but most of us can't multitask, and even if you can't, it isn't good, either.
you can't really have a good time enjoying your TV show while also writing your own report. once you finnished it and proofread it before handing it in, you realize how it sucks and what the hell have you been doing.
if you're tired, rest.
if you're fresh and new, go do some work and just don't waste it doing other things.
if you rested and still tired, probably check on your hydration and your mobility, have you been too sedentary recently?
it's not always the lack of time, but the lack of focus.
self development is highly personal
let me tell you a story.
I'd been trying to schedule my day using Google Calendar cause most influencers I know and admire use that thing.
took me about a year to realize it never works for me.
I can write a to do list and still be okay, things totally fuck up when I schedule things on calendar task for task.
okay, I underestimate time I need for this task, oh I don't feel like doing it right now, what the hell is the asisgnments popping up for different subjects going on?
fixing events can be a pain in the ass, especially if you're doing it physically and not via any apps. frustration stops me from working, so I accomplish none.
so the next time if something doesn't work for you, maybe give it another try, and if it still not work, that's not because you're lazy or other people are smarter, but it just doesn't work for you, that simple!!! no need to stress out or have severe existential crisises, try until you get it.
your victory don't have to be other's failure and vice versa.
my tip for fighting meta-feelings
basically "how do you feel about feeling that way"
most of the times I would criticize myself (and I still do but it's much less), then the next thing that's gonna happen is I feel like I shouldn't have been an asshole to myself then tear up.
it's a pile of shit, I know. a thing about emotions is that i doesn't go away asap.
so just... do it more until you get enough of it.
then you'll realize what life favors and what life don't, as well as how to adapt.
a happy life is a simple life, but it's not that easy to be simple.
damn, thank you Tagore for such a nice quote.
last words
I hope that's all I have to say cause ideas just keep popping up. hope I served you well. thanks for reading this post, have fun staring at me being a bold human being before I collapse on my bed.